-- Contents --
<<<
Entry 1:
The following is a DFT calculation (ωB97M-V/def2-TZVPD) of a single C7H10Br2N2S2 molecule.

```
23
Properties=species:S:1:pos:R:3:mulliken_charge:R:1
C 2.833 2.539 0.030 0.53
C 2.987 0.164 -0.334 0.49
C 0.659 -0.011 -0.368 0.50
C -0.746 0.915 1.556 -1.17
C -0.579 -0.722 -2.530 -1.17
C 0.534 0.116 1.097 -0.31
C -0.612 -0.168 -1.143 -0.49
N 3.290 1.424 -0.072 -0.27
N 1.813 -0.241 -0.844 -0.36
S 2.467 4.023 0.270 -0.32
S 4.156 -0.991 -0.013 0.08
Br 5.948 0.394 -0.283 -0.29
Br 2.309 -2.888 0.195 -0.55
H -0.528 1.937 1.204 0.29
H -0.795 0.901 2.649 0.38
H -1.610 0.491 1.043 0.29
H -0.877 -0.069 -3.373 0.28
H -1.161 -1.702 -2.544 0.28
H 0.392 -1.191 -2.636 0.36
H 0.280 -0.909 1.281 0.40
H 1.556 0.280 1.622 0.41
H -1.322 -0.773 -0.551 0.29
H -1.033 0.865 -1.083 0.36
```

The lowest unoccupied orbital energy is -1.82 eV. Its max |F| is 0.0464 hartree/bohr. The value obtained for the relative energy (zero: lowest compared OMol25 entry of this formula, charge and spin) is 0.0 kcal/mol. Its net charge is 0. For the total energy, the calculation gives -6326.56935 Ha.

Entry 2:
The following is a DFT calculation (ωB97M-V/def2-TZVPD) of a molecular structure, C28H43ErF9OP2.

```
84
Properties=species:S:1:pos:R:3:mulliken_spin:R:1
Er 1.958 0.302 1.602 3.05
C 3.335 -1.295 2.846 -0.02
C 2.978 -2.174 1.771 0.00
C 4.196 -0.415 0.883 0.00
C 4.160 -0.247 2.304 0.00
C 3.491 -1.628 0.564 -0.01
C 3.102 -1.585 4.279 0.00
H 2.295 -2.314 4.425 0.00
H 2.865 -0.682 4.859 0.00
H 4.019 -2.025 4.700 0.00
C 4.849 0.839 3.029 0.00
H 4.671 0.787 4.105 0.00
H 4.522 1.830 2.684 0.00
H 5.932 0.805 2.859 0.00
C 4.885 0.482 -0.078 0.00
H 5.979 0.385 -0.030 0.00
H 4.643 1.538 0.127 0.00
H 4.564 0.272 -1.107 0.00
C 3.591 -2.359 -0.722 0.00
H 4.534 -2.937 -0.790 0.00
H 3.577 -1.659 -1.571 0.00
H 2.764 -3.067 -0.864 0.00
C 2.477 -3.558 1.952 0.00
H 3.314 -4.277 1.934 0.00
H 1.783 -3.855 1.156 0.00
H 1.978 -3.698 2.921 0.00
C -0.927 0.017 1.695 0.00
C -0.511 -1.128 2.318 0.00
C -0.853 -2.533 1.977 0.00
C -1.115 -2.867 0.489 0.00
C -0.058 -2.372 -0.430 0.00
C 0.066 -1.147 -0.959 0.00
C -0.871 0.028 -0.857 0.00
C -1.712 0.144 0.422 0.00
H -1.748 -2.860 2.530 0.00
H -2.121 -2.548 0.190 0.00
H -0.010 -3.137 2.354 0.00
H -2.586 -0.531 0.421 0.00
H -0.885 0.956 2.261 0.00
H -0.028 -1.016 3.301 0.00
H -2.117 1.175 0.443 0.00
H -0.245 0.935 -0.946 0.00
H 0.969 -0.926 -1.541 0.00
H -1.568 0.082 -1.711 0.00
H -1.111 -3.970 0.426 0.00
H 0.680 -3.136 -0.707 0.00
P -3.674 0.919 -3.363 0.00
P -2.801 0.852 -6.201 0.00
C -5.072 1.066 -4.624 0.00
C -4.538 1.511 -5.976 0.00
H -5.810 1.783 -4.239 0.00
H -5.561 0.088 -4.706 0.00
H -5.154 1.140 -6.808 0.00
H -4.485 2.603 -6.048 0.00
C -2.512 1.728 -7.795 0.00
H -1.602 1.336 -8.259 0.00
H -2.373 2.795 -7.607 0.00
H -3.365 1.583 -8.472 0.00
C -3.344 -0.724 -6.996 0.00
H -4.119 -0.515 -7.746 0.00
H -3.733 -1.423 -6.252 0.00
H -2.479 -1.185 -7.483 0.00
C -4.230 2.339 -2.331 0.00
H -3.662 2.357 -1.394 0.00
H -5.306 2.247 -2.125 0.00
H -4.037 3.269 -2.881 0.00
C -4.408 -0.486 -2.425 0.00
H -4.357 -1.387 -3.049 0.00
H -5.456 -0.266 -2.179 0.00
H -3.833 -0.662 -1.508 0.00
F -1.068 1.506 4.480 0.00
C 0.094 1.602 5.181 0.00
F -0.153 2.345 6.286 0.00
F 0.400 0.334 5.566 0.00
C 1.256 2.182 4.329 0.00
O 1.627 1.282 3.336 -0.01
C 0.867 3.505 3.607 0.00
F 0.588 4.521 4.456 0.00
F 1.881 3.898 2.786 0.00
F -0.216 3.319 2.798 0.00
C 2.433 2.436 5.311 0.00
F 2.157 3.309 6.305 0.00
F 2.813 1.255 5.877 0.00
F 3.516 2.907 4.637 0.00
```

The expectation value of S² is 3.7529. The lowest unoccupied orbital energy (alpha / beta) is -3.89 / -3.81 eV. As for the multiplicity: 4. Its max |F| is 0.0351 hartree/bohr. The value obtained for the relative energy (zero: lowest compared OMol25 entry of this formula, charge and spin) is 0.0 kcal/mol. Its net charge is +1. For the total energy, the calculation gives -3764.34454 Ha.

Entry 3:
>>>

-- Work order --
The reader should retype everything further up with every line break kept.

-- Solution --
Entry 1:
The following is a DFT calculation (ωB97M-V/def2-TZVPD) of a single C7H10Br2N2S2 molecule.

```
23
Properties=species:S:1:pos:R:3:mulliken_charge:R:1
C 2.833 2.539 0.030 0.53
C 2.987 0.164 -0.334 0.49
C 0.659 -0.011 -0.368 0.50
C -0.746 0.915 1.556 -1.17
C -0.579 -0.722 -2.530 -1.17
C 0.534 0.116 1.097 -0.31
C -0.612 -0.168 -1.143 -0.49
N 3.290 1.424 -0.072 -0.27
N 1.813 -0.241 -0.844 -0.36
S 2.467 4.023 0.270 -0.32
S 4.156 -0.991 -0.013 0.08
Br 5.948 0.394 -0.283 -0.29
Br 2.309 -2.888 0.195 -0.55
H -0.528 1.937 1.204 0.29
H -0.795 0.901 2.649 0.38
H -1.610 0.491 1.043 0.29
H -0.877 -0.069 -3.373 0.28
H -1.161 -1.702 -2.544 0.28
H 0.392 -1.191 -2.636 0.36
H 0.280 -0.909 1.281 0.40
H 1.556 0.280 1.622 0.41
H -1.322 -0.773 -0.551 0.29
H -1.033 0.865 -1.083 0.36
```

The lowest unoccupied orbital energy is -1.82 eV. Its max |F| is 0.0464 hartree/bohr. The value obtained for the relative energy (zero: lowest compared OMol25 entry of this formula, charge and spin) is 0.0 kcal/mol. Its net charge is 0. For the total energy, the calculation gives -6326.56935 Ha.

Entry 2:
The following is a DFT calculation (ωB97M-V/def2-TZVPD) of a molecular structure, C28H43ErF9OP2.

```
84
Properties=species:S:1:pos:R:3:mulliken_spin:R:1
Er 1.958 0.302 1.602 3.05
C 3.335 -1.295 2.846 -0.02
C 2.978 -2.174 1.771 0.00
C 4.196 -0.415 0.883 0.00
C 4.160 -0.247 2.304 0.00
C 3.491 -1.628 0.564 -0.01
C 3.102 -1.585 4.279 0.00
H 2.295 -2.314 4.425 0.00
H 2.865 -0.682 4.859 0.00
H 4.019 -2.025 4.700 0.00
C 4.849 0.839 3.029 0.00
H 4.671 0.787 4.105 0.00
H 4.522 1.830 2.684 0.00
H 5.932 0.805 2.859 0.00
C 4.885 0.482 -0.078 0.00
H 5.979 0.385 -0.030 0.00
H 4.643 1.538 0.127 0.00
H 4.564 0.272 -1.107 0.00
C 3.591 -2.359 -0.722 0.00
H 4.534 -2.937 -0.790 0.00
H 3.577 -1.659 -1.571 0.00
H 2.764 -3.067 -0.864 0.00
C 2.477 -3.558 1.952 0.00
H 3.314 -4.277 1.934 0.00
H 1.783 -3.855 1.156 0.00
H 1.978 -3.698 2.921 0.00
C -0.927 0.017 1.695 0.00
C -0.511 -1.128 2.318 0.00
C -0.853 -2.533 1.977 0.00
C -1.115 -2.867 0.489 0.00
C -0.058 -2.372 -0.430 0.00
C 0.066 -1.147 -0.959 0.00
C -0.871 0.028 -0.857 0.00
C -1.712 0.144 0.422 0.00
H -1.748 -2.860 2.530 0.00
H -2.121 -2.548 0.190 0.00
H -0.010 -3.137 2.354 0.00
H -2.586 -0.531 0.421 0.00
H -0.885 0.956 2.261 0.00
H -0.028 -1.016 3.301 0.00
H -2.117 1.175 0.443 0.00
H -0.245 0.935 -0.946 0.00
H 0.969 -0.926 -1.541 0.00
H -1.568 0.082 -1.711 0.00
H -1.111 -3.970 0.426 0.00
H 0.680 -3.136 -0.707 0.00
P -3.674 0.919 -3.363 0.00
P -2.801 0.852 -6.201 0.00
C -5.072 1.066 -4.624 0.00
C -4.538 1.511 -5.976 0.00
H -5.810 1.783 -4.239 0.00
H -5.561 0.088 -4.706 0.00
H -5.154 1.140 -6.808 0.00
H -4.485 2.603 -6.048 0.00
C -2.512 1.728 -7.795 0.00
H -1.602 1.336 -8.259 0.00
H -2.373 2.795 -7.607 0.00
H -3.365 1.583 -8.472 0.00
C -3.344 -0.724 -6.996 0.00
H -4.119 -0.515 -7.746 0.00
H -3.733 -1.423 -6.252 0.00
H -2.479 -1.185 -7.483 0.00
C -4.230 2.339 -2.331 0.00
H -3.662 2.357 -1.394 0.00
H -5.306 2.247 -2.125 0.00
H -4.037 3.269 -2.881 0.00
C -4.408 -0.486 -2.425 0.00
H -4.357 -1.387 -3.049 0.00
H -5.456 -0.266 -2.179 0.00
H -3.833 -0.662 -1.508 0.00
F -1.068 1.506 4.480 0.00
C 0.094 1.602 5.181 0.00
F -0.153 2.345 6.286 0.00
F 0.400 0.334 5.566 0.00
C 1.256 2.182 4.329 0.00
O 1.627 1.282 3.336 -0.01
C 0.867 3.505 3.607 0.00
F 0.588 4.521 4.456 0.00
F 1.881 3.898 2.786 0.00
F -0.216 3.319 2.798 0.00
C 2.433 2.436 5.311 0.00
F 2.157 3.309 6.305 0.00
F 2.813 1.255 5.877 0.00
F 3.516 2.907 4.637 0.00
```

The expectation value of S² is 3.7529. The lowest unoccupied orbital energy (alpha / beta) is -3.89 / -3.81 eV. As for the multiplicity: 4. Its max |F| is 0.0351 hartree/bohr. The value obtained for the relative energy (zero: lowest compared OMol25 entry of this formula, charge and spin) is 0.0 kcal/mol. Its net charge is +1. For the total energy, the calculation gives -3764.34454 Ha.

Entry 3: